Saturday, 2 July 2016

Pre-Raya blues

Raya is just a few days away.

Went shopping a bit just now.

The place I went to was so packed with people.

I had to park my car quite a distance away from the shopping mall.

The roads leading there were jammed.

I should had taken some pictures but only realised I should had done it after I reached home.

So much for all the talks about bad economy.

Anyway, I didn't buy much.

Not really comfortable to shop too much because of the crowd.

Just bought some groceries, cleaning stuff for my computer and these for Raya,

It's Charles & Keith at RM189.90.

Okay la. Not so expensive.

Will be driving back to KL on Monday to celebrate Raya with my parents.

Hopefully mother will not be working on first Raya.


Sudah mau Raya malas la nak tulis politik.

You all don't want to take a break from the nonsense ka for Raya?

Rest la a bit and be happy.

Don't fight all the time.

How I wish my friends, now fighting each other over politics can get back together and bermaaf-maafan di Hari Raya yang mulia....

I know, not much chance for that one.

But it's not wrong to hope, isn't it?

Here's a song to go with that hope,

Okay, that's all for today.

Cheers guys.


  1. No rest for the wicked
    The good can rest in peace

  2. Dosa kecil kecil, hutang duapuluh enam ringgit, bolehlah bermaaf maafan di hari raya..

    Lu enjoy, wa kena paksa tanggung lu punya hutang, boleh lupa ka, boleh sEttle just bermaafan Macam tu saja ka..

    Kalu you mengaku buat salah, kalau you mengaku berdosa, kalau u clearly minta maaf, ok lah.. Boleh considered.

Fe5Si4W: computed PXRD pattern (Cu Kα), based on a cell relaxed with GGA-PBE.
Kinematic intensities with the Lorentz-polarization factor, no thermal factor.

Most intense lines, 2θ from 5° to 70°, in order of rising 2θ:
2θ 6.1, I = 100, hkl 0 0 1; 2θ 12.1, I = 24, hkl 0 0 2; 2θ 18.2, I = 10, hkl 0 0 3; 2θ 33.2, I = 18, hkl 1 0 1; 2θ 34.9, I = 17, hkl 1 0 2; 2θ 37.0, I = 8, hkl 0 0 6; 2θ 37.6, I = 16, hkl 1 0 3; 2θ 41.2, I = 19, hkl 1 0 4; 2θ 45.4, I = 76, hkl 1 0 5; 2θ 46.8, I = 41, hkl 1 1 0; 2θ 61.1, I = 9, hkl 1 1 6; 2θ 68.3, I = 13, hkl 2 0 0

Structure:
a b c (Å): 2.746 2.746 14.591
angles (deg): 90.00 90.00 90.00
Space group P4/mmm (No. 123)
Unique sites:
Fe  0.000  0.000  0.000 [1 per cell]
Fe  0.000  0.000  0.188 [2 per cell]
Fe  0.000  0.000  0.375 [2 per cell]
Si  0.500  0.500  0.095 [2 per cell]
Si  0.500  0.500  0.287 [2 per cell]
W  0.500  0.500  0.500 [1 per cell]



Ac3Sb2Au4: computed PXRD pattern (Cu Kα), based on a cell relaxed with GGA-PBE.
Kinematic intensities with the Lorentz-polarization factor, no thermal factor.

Most intense lines, 2θ from 5° to 70°, in order of rising 2θ:
2θ 29.5, I = 46, hkl 4 0 -1; 2θ 29.9, I = 76, hkl 3 1 0; 2θ 30.4, I = 88, hkl 1 1 2; 2θ 30.6, I = 38, hkl 0 0 3; 2θ 37.0, I = 100, hkl 3 1 -3; 2θ 37.2, I = 51, hkl 0 2 0; 2θ 43.2, I = 32, hkl 4 0 2; 2θ 48.2, I = 26, hkl 4 2 -1; 2θ 48.9, I = 21, hkl 0 2 3; 2θ 57.2, I = 23, hkl 7 1 -1; 2θ 58.3, I = 26, hkl 4 2 2; 2θ 59.1, I = 25, hkl 1 1 5

Structure:
a b c (Å): 12.097 4.835 9.292
angles (deg): 90.00 109.35 90.00
Space group C2/m (No. 12)
Unique sites:
Ac  0.000  0.000  0.000 [2 per cell]
Ac  0.160  0.500  0.675 [4 per cell]
Sb  0.119  0.500  0.281 [4 per cell]
Au  0.047  0.000  0.384 [4 per cell]
Au  0.244  0.500  0.069 [4 per cell]



BeAl2Ag: computed PXRD pattern (Cu Kα), based on a cell relaxed with GGA-PBE.
Kinematic intensities with the Lorentz-polarization factor, no thermal factor.

Most intense lines, 2θ from 5° to 70°, in order of rising 2θ:
2θ 15.8, I = 100, hkl 0 0 1; 2θ 23.7, I = 17, hkl 0 1 0; 2θ 28.6, I = 67, hkl 0 1 1; 2θ 35.4, I = 38, hkl 1 0 1; 2θ 39.8, I = 63, hkl 1 1 0; 2θ 40.2, I = 60, hkl 0 1 2; 2θ 43.1, I = 33, hkl 1 1 1; 2θ 45.5, I = 41, hkl 1 0 2; 2θ 48.5, I = 17, hkl 0 2 0; 2θ 61.5, I = 14, hkl 1 2 1; 2θ 64.7, I = 16, hkl 1 1 3; 2θ 68.7, I = 23, hkl 1 2 2

Structure:
a b c (Å): 2.839 3.756 5.603
angles (deg): 90.00 90.00 90.00
Space group Pmmm (No. 47)
Unique sites:
Be  0.000  0.000  0.000 [1 per cell]
Al  0.500  0.500  0.228 [2 per cell]
Ag  0.000  0.000  0.500 [1 per cell]



Ba3ErIrRuO9: computed PXRD pattern (Cu Kα), based on a cell relaxed with GGA-PBE.
Kinematic intensities with the Lorentz-polarization factor, no thermal factor.

Most intense lines, 2θ from 5° to 70°, in order of rising 2θ:
## The article goes on

    Tapi kalau muka selamba macam tak ada apa apa..

    Sorry to say, tiada maaf untuk kamu walau seribu kali hari raya.


  3. re, So much of the talk about bad economy.

    It's Charles & Kate at RM 189.90

    Wa Nyonya , mampu pakai RM 13.00 plastic slipper maa aa .

    Lucky you Annie .

    Selamat hali Laya .

  4. Have a good rest and drive safely back to see your parents, ok? Selamat hari raya to Annie and all Muslims.

  5. Selamat Aidil Fitri kepada Cik Annie & Keluarga!

  6. Selamat Hari Raya Annie dan yang lain lain disini....Maaf zahir dan batin....

    >james bond

  7. Annie,

    Well, not quite Raya yet so I'll hold my greetz until then.

    I guess like most people, you would love the shopping aspect of Raya.

    I know, I know, shopping is part of the fun in any festivity in any culture.


    I am a hopeless shopper. I don't even bother buying myself a birthday present even if I remember my birthday :)

